材料科学与艺术设计学院是内蒙古农业大学成立较早的教学研究单位之一。1958年11月在原内蒙古林学院成立林产加工工艺系,设林产化学工艺专业和木材机械加工专业;文革期间专业撤销,1981年6月木材加工专业恢复招生;1996年1月成立林产工业系,设木材机械加工与综合利用、木材加工(师资)、室内与家具设计(师资)3个专业;1999年4月成立林业工程学院;2008年1月更名为材料科学与艺术设计学院。学院经过近60年的发展,形成了文工交汇、材料加工与艺术设计协调发展的多层次教学与科研体系。学院现有木材科学与工程、环境艺术设计、材料科学与工程、视觉传达设计、产品设计、工程造价、风景园林、服装设计与工程等8个本科专业。其中木材科学与工程、艺术设计专业为内蒙古自治区品牌专业。在校本科学生人数超过了1200人;学院有林业工程一级学科博士点(涵盖木材科学与技术、森林工程和林产化学工程3个二级学科博士点)和生物质材料科学与技术二级学科博士点,设计艺术学、材料加工工程2个科学学位硕士点,林业工程硕士、材料加工工程2个专业学位硕士授点。其中木材科学与技术学科为国家林业局和内蒙古自治区重点学科;学院拥有内蒙古自治区沙生灌木资源开发与利用工程技术研究中心、内蒙古教育厅蒙古族工艺美术研究基地、内蒙古文化厅森林文化产业研究中心;内蒙古沙生灌木纤维化和能源化利用重点实验室;西北地区木材工业委员会、内蒙古林学会林产工业专业委员会、内蒙古室内装饰协会教育委员会挂靠本学院。 R11cM1.3DB2-2d
学院拥有一支学历层次高、教学经验丰富、科研能力突出、素质优良、机构合理的教师队伍。现有教职工70人。其中教授13人,副教授23人;获博士学位教师16人,获硕士学位教师28人;博士生导师3人,硕士生导师17人;自治区有突出贡献中青年专家1人,中国美术家协会会员2人;学院拥有艺术创作中心、广告传媒及服装制作中心和家具及室内装修实训中心,木材科学与工程、材料科学与工程、环境艺术设计、家具设计、服装设计、视觉传达、基础美术7个教研室。学院设有专业图书资料室,面积300平米,藏书6200余册。 l3.5Fa1+6gT8.2b
学院始终坚持产、学、研相结合,凝练出以沙生灌木资源高效利用和蒙古族文化艺术挖掘与推广应用为核心的特色学科,形成了木材保护及其高效利用、生物质基纳米复合材料、生物质材料能源化利用、蒙古族文字造型、蒙古族家具与文化等优势研究方向。目前承担着国家自然科学基金、内蒙古自治区科技厅项目、科技部项目20余项,获省部级奖励及国家发明专利10余项,部分科技成果达到国际领先水平,科技成果转化在我国西部地区产生了巨大的经济效益、社会效益和生态效益。学院教师发表学术论文200余篇,其中SCI、IE、ISTP收录论文50余篇,出版专著和教材24部。拥有10万元以上设备20余台(套),总经费上亿元。 H7-3sl3!,oX9!9c
• Attached: records of molecules:
=====
Record 1
DFT (the ωB97M-V functional and the def2-TZVPD basis) results for C5H12N2 in the gas phase at a distorted geometry.

Summary:
Energy above the lowest of the compared OMol25 structures with the same formula, charge and spin = 40.62 kcal/mol
Gap between HOMO and LUMO = 9.25 eV
SMILES = C[C@@H](N)C/C=C/N
Highest occupied orbital energy = -8.1 eV

The geometry in XYZ format:
```
19
Properties=species:S:1:pos:R:3:forces:R:3:lowdin_charge:R:1
C -1.3464 -1.2256 -0.8540 0.47 0.51 -0.36 -0.079
C -0.8011 0.1809 -0.7946 1.16 0.33 -0.55 -0.491
C -0.4823 0.7285 0.6291 -0.68 1.24 -0.20 -0.208
C 0.5960 -0.0355 1.3485 0.00 -0.52 -1.83 -0.136
C 1.8708 0.4207 1.2500 -0.11 -0.94 0.79 -0.227
N 2.9067 -0.4810 1.0553 -0.50 0.30 0.34 0.041
N -1.6911 1.0725 -1.5567 0.27 0.24 0.41 0.023
H -0.6078 -1.9145 -0.4633 -0.24 -0.40 0.30 0.063
H -2.3064 -1.2286 -0.3569 -0.20 -0.45 0.39 0.080
H -1.5031 -1.4670 -1.9036 -0.07 -0.21 -0.10 0.075
H 0.1963 0.2185 -1.3145 -0.67 -0.31 0.32 0.133
H -1.4869 0.8149 1.1636 1.30 0.26 -0.38 0.125
H 0.0460 1.6953 0.3536 -1.38 -0.36 0.80 0.120
H 0.4306 -1.1329 1.3393 0.40 0.60 0.34 0.098
H 2.1578 1.4632 1.3766 -0.29 0.05 -0.32 0.110
H 2.7038 -1.1467 0.3356 0.54 -0.35 0.21 0.080
H 3.8343 -0.3306 1.3998 0.10 0.00 -0.29 0.077
H -2.4284 0.5680 -2.0303 -0.02 0.06 0.17 0.056
H -2.0885 1.7999 -0.9776 -0.10 -0.04 -0.04 0.058
```
Forces are in eV/Å.



Record 2
DFT (the ωB97M-V functional and the def2-TZVPD basis) results for C3H10N2 in the gas phase at a distorted geometry.

Summary:
Energy above the lowest of the compared OMol25 structures with the same formula, charge and spin = 34.32 kcal/mol
Gap between HOMO and LUMO = 9.65 eV
SMILES = C[C@@H](N)CN
Highest occupied orbital energy = -8.5 eV

The geometry in XYZ format:
```
15
Properties=species:S:1:pos:R:3:forces:R:3:lowdin_charge:R:1
N -1.4466 0.7320 -0.3891 -2.77 -0.84 0.12 -0.022
C -0.0716 0.5216 0.1318 -0.94 2.27 -0.19 -0.499
C 0.8861 1.1961 -0.8245 1.45 -1.03 -0.70 -0.108
C 0.4828 -0.8742 0.3642 -2.78 -0.46 -1.44 -0.275
N -0.5382 -1.6916 1.0702 1.70 3.52 3.20 -0.022
H -2.3084 0.3957 0.1890 2.71 0.53 -1.35 0.099
H -1.7443 0.7755 -1.4195 1.50 -0.40 2.25 0.094
H -0.0020 1.1121 1.0969 -0.33 -0.63 -0.78 0.141
H 1.7954 1.3510 -0.2667 0.57 0.35 0.09 0.068
H 0.6314 2.1010 -1.3208 -0.77 0.99 0.22 0.060
H 1.2163 0.5556 -1.6767 -0.48 -0.08 0.58 0.083
H 0.4376 -1.2392 -0.7128 1.26 -0.19 1.36 0.131
H 1.4072 -0.7942 0.9587 0.14 -0.30 -1.01 0.115
H -0.5320 -2.5825 0.6895 0.16 -2.22 0.15 0.017
H -0.2136 -1.5590 2.1100 -1.41 -1.52 -2.50 0.118
```
Forces are in eV/Å.

=====

[1]
61
Properties=species:S:1:pos:R:3:forces:R:3 method="wB97M-V/def2-TZVPD" orbital_gap_ha="0.1556 / 0.1586" fmax_ev_per_a=0.96 e_lumo_ev="4.5 / 4.5" spin_multiplicity=5 homo_energy_ev="0.26 / 0.18" total_charge=-2 total_energy_ev=-147678.9519
Co -0.327854 0.034697 2.209953 0.4 0.4 0.4
N -1.247489 -4.874595 1.131155 -0.1 0.0 0.1
C -0.890498 -3.505220 1.188019 0.7 0.2 -0.4
S 0.606293 -3.361446 0.202942 -0.1 0.1 0.1
=====
学院注重素质教育,提升实践能力,积极组织学生参加科技创新、社会实践、志愿服务等活动,学院多次活动学生社会实践有些单位组织奖。获得全国、自治区“挑战杯”大学生科技作品及创业规划大赛、艺术作品设计大赛、艺术创意大赛等奖项10余项。办学近60年来,学院毕业生4000余人,遍及自治区及全国的大中型企业、科研院所及政府机关。 N3=2et4:3nY66g
在教育与科技快速发展的今天,全院师生正在齐心协力,认真总结经验,加快发展,大力提高办学水平和综合实力,为早日实现学校“特色鲜明的教学研究型大学和西部高水平大学”的目标而努力奋斗。 i3~4w08~5Kd1~5b
Science and Art Design College of Inner Mongolia Agricultural University materials is one of the earliest teaching research unit. Founded in November 1958 of forest products processing system in the original Inner Mongolia College of forestry, forest products chemical process with professional and wood machining professional; professional in 1981 June during the Cultural Revolution revocation, wood processing professional resume enrollment in 1996 January established; forest industry system, a mechanical processing and comprehensive utilization of timber, wood processing (Shi Zi), interior and furniture design (Shi Zi) 3 professional; in 1999 April established Forestry Engineering College; in 2008 January changed its name to the science and Art Design College of materials. Institute after nearly 60 years of development, the formation of a multi-level teaching and scientific research system, material processing and text between the coordinated development of art design. College of the existing wood science and engineering, environment art design, materials science and engineering, 8 undergraduate professional visual communication design, product design, engineering cost, landscape architecture, clothing design and engineering. The wood science and engineering, art and design professional for the the Inner Mongolia Autonomous Region brand professional. The number of undergraduate students in school more than 1200 people; College of forestry engineering doctoral level disciplines (covered in wood science and technology, forest engineering and chemical engineering of forest products 3 two doctoral disciplines) and biomass materials science and technology two doctoral disciplines, art design, materials processing engineering 2 Science Master's degree programs forestry, master of engineering, material processing engineering 2 professional master degree awarded points. The wood science and technology for national forestry bureau and the key discipline of the Inner Mongolia Autonomous Region; the college has the Inner Mongolia Autonomous Region shrub resources development and utilization of Engineering Technology Research Center, Inner Mongolia Education Department of Mongolia ethnic arts and crafts research base, the Cultural Department of Inner Mongolia forest culture industry research center; Inner Mongolia shrub fibrosis and energy utilization of Key Laboratory of wood industry, the northwest Commission; area of forest products industry professional committee, Inner Mongolia interior decoration Association of Education Committee of Inner Mongolia forestry institute affiliated to the school. J14kJ3.4bY1.9e
The school has a high level of education, teaching experience, scientific research ability, excellent quality, reasonable mechanism of teachers. The existing staff of 70 people. Including 13 professors, 23 associate professors; received a doctorate 16 teachers, master teachers 28; 3 doctoral tutor, 17 master tutors; autonomous region middle-aged expert with outstanding contribution to 1 people, Chinese Artists Association member 2 people; the college has art center, advertising media and clothing production center and Training Center for furniture and interior decoration, wood science and engineering, materials science and engineering, environment art design, furniture design, costume design, visual communication, basic art department 7. The college has a library professional chamber, an area of 300 square meters, more than 6200 books. M,=8rw4-7bs7.6M
School always adhere to the production, learning and research, combining its characteristics, subject to shrub efficient use of resources and culture of Mongolia art mining and application as the core, formed timber conservation and efficient utilization, biomass based nano composite materials, biomass energy utilization, Mongolia nationality, Mongolia nationality writing style furniture research and cultural advantage direction. The current bear the National Natural Science Foundation of the Inner Mongolia Autonomous Region science and Technology Department, Ministry of science and technology projects, more than 20 projects, provincial and ministerial level awards and more than 10 national invention patents, part of the scientific and technological achievements reached the international advanced level, the transformation of scientific and technological achievements produced enormous economic benefits, social benefits and ecological benefits in the western region of china. Faculty published over 200 academic papers, including SCI, IE, ISTP included more than 50 papers, monographs and 24 textbooks. With more than 100000 yuan in equipment more than 20 Taiwan (sets), the total funds billion. b2;5Uk67tZ7?2K
**Someone pasted quantum chemistry results at this point**
/*
[1]
38
Properties=species:S:1:pos:R:3:forces:R:3:mulliken_charge:R:1 method="wB97M-V/def2-TZVPD" total_energy_ha=-3303.26979 multiplicity=3 largest_force_ev_per_a=4.28 orbital_gap_ev="6.17 / 5.32" total_charge=-2 s2=2.044
C -2.428 -1.255 -1.719 -1.5 1.8 -1.6 -0.308
C -1.985 -1.435 -3.150 0.1 0.7 0.8 -0.716
C -1.593 -0.122 -3.617 -0.9 -0.7 0.4 -0.335
H -1.982 -2.369 -3.740 -0.2 0.5 0.3 0.485
C -1.963 0.831 -2.639 0.2 -0.2 0.0 -0.685
C -2.422 0.172 -1.471 -0.1 -1.0 -0.8 -0.365
H -2.670 0.673 -0.529 0.2 -0.4 -0.5 0.408
H -2.668 -2.054 -1.011 -0.7 0.4 -0.3 0.337
H -1.100 0.105 -4.576 -0.4 -0.2 0.5 0.457
H -1.854 1.920 -2.776 0.1 -0.7 0.3 0.366
Ni -0.697 -2.085 -1.734 2.9 -0.2 0.8 0.084
Cl 0.242 -2.485 0.245 0.0 -0.4 -0.3 -0.639
C 2.502 0.104 -1.251 -0.6 -1.1 0.2 -0.458
C 2.196 1.352 -1.839 0.0 -1.3 0.6 -0.306
C 1.783 1.092 -3.197 -0.7 -2.4 -1.6 -0.269
H 2.076 2.296 -1.309 0.3 -0.3 -0.1 0.387
C 1.800 -0.317 -3.399 -1.4 1.5 -1.0 -0.459
C 2.129 -0.941 -2.149 1.6 0.0 1.1 -0.626
H 2.227 -2.056 -1.948 -0.2 1.7 -0.3 0.474
H 2.755 -0.147 -0.221 0.0 0.6 -0.4 0.417
H 1.272 1.771 -3.896 0.6 -0.2 0.4 0.383
H 1.368 -0.931 -4.230 0.5 1.1 0.6 0.401
O 2.382 2.472 3.331 0.8 1.2 0.5 -0.698
S 2.149 1.219 2.686 -1.6 -2.9 -2.7 0.960
O 3.179 0.171 2.745 -0.4 1.4 0.3 -0.679
N 1.529 1.316 1.174 0.7 1.3 0.9 -0.290
C 0.182 1.101 1.096 1.1 0.6 -1.4 0.215
O -0.537 1.417 0.134 0.7 -0.4 1.5 -0.627
C -0.279 0.441 2.339 -0.8 -0.3 1.1 0.205
C -1.498 -0.172 2.606 0.6 0.3 0.2 -0.058
C -1.770 -0.599 3.906 0.5 0.1 0.4 -0.620
C -0.814 -0.415 4.940 0.4 0.2 -0.5 -0.338
C 0.448 0.156 4.649 -0.8 -0.2 -0.2 -0.577
C 0.663 0.545 3.339 -0.1 -0.3 1.0 0.121
H -2.140 -0.290 1.752 -0.5 -0.2 0.0 0.327
H -2.728 -1.081 4.122 0.3 0.1 0.0 0.350
H -1.016 -0.720 5.966 -0.2 0.0 -0.2 0.324
H 1.259 0.319 5.373 -0.6 -0.3 -0.1 0.351

[2]
39
Properties=species:S:1:pos:R:3:forces:R:3:mulliken_charge:R:1 method="wB97M-V/def2-TZVPD" total_energy_ha=-1315.59842 largest_force_ev_per_a=2.89 orbital_gap_ev=8.29
F -2.347 1.564 1.306 0.3 -0.6 0.1 -0.312
C -1.233 0.828 1.488 -0.8 -0.1 0.3 -0.088
C -1.259 -0.465 1.812 -0.7 0.0 -0.2 0.182
F -2.413 -1.154 1.990 0.8 0.5 -0.1 -0.308
C -0.010 -1.226 2.020 0.0 -1.9 1.0 0.412
O -0.015 -2.385 2.450 0.0 1.9 -0.9 -0.593
C 1.247 -0.507 1.733 0.7 0.0 -0.2 0.377
F 2.389 -1.224 1.871 -0.7 0.5 -0.1 -0.317
C 1.240 0.782 1.381 0.8 -0.1 0.3 -0.380
F 2.359 1.485 1.120 -0.4 -0.6 0.2 -0.334
C 0.018 1.685 1.462 0.1 -1.3 1.5 1.474
O 0.090 2.479 2.476 -0.1 0.5 -0.3 -0.919
C 0.081 6.583 -2.362 0.2 -0.1 0.1 -0.878
C -0.292 5.906 -1.037 -0.3 0.8 0.2 -0.663
C -0.166 4.423 -1.083 -0.2 -0.8 0.3 0.440
C 0.000 3.738 -2.307 -0.3 0.1 0.0 1.114
N -0.020 4.401 -3.500 0.2 -0.2 0.2 -0.041
C -0.415 5.793 -3.566 -0.2 0.5 0.2 -0.627
C -0.149 3.688 -4.756 -0.2 -0.3 -0.3 -0.614
C 0.580 2.353 -4.736 0.3 0.0 0.1 -0.908
C 0.246 1.519 -3.496 -0.1 -0.6 -0.6 -0.791
C 0.124 2.332 -2.252 0.0 -0.4 0.8 0.145
C 0.117 1.690 -1.025 0.1 0.6 -0.3 -0.575
N -0.036 2.362 0.137 -0.4 1.7 -2.3 0.006
*/
Schools focus on quality education, enhance practical ability, students actively participate in the innovation of science and technology, social practice, the voluntary service activities, college students' social practice some many activities organization award. Won the national, autonomous region "Challenge Cup" works of science and technology students and business plan competition, works of art, art design competition creative contest awards more than 10. The school for nearly 60 years, college graduates more than 4000 people, all over the autonomous region and the national large and medium-sized enterprises, research institutes and government agencies. D4~,Im62UO2?8Y
With the rapid development of education and science and technology today, the students and faculty are make concerted efforts, sum up experience seriously, to speed up the development, vigorously improve the level and comprehensive strength, for the early realization of the school "the distinctive teaching and research university and the high level university" goal to strive. A8~6LU8-5kA2:2f